Brief:
It remains to return the data below from the first line to the one with "0.000 [16" without additions.

Entries:
Entry 1:
DFT (GGA-PBE) results for CeZrO4 after structural relaxation.

a b c (Å): 10.638 10.638 10.638
angles (deg): 90.00 90.00 90.00
Space group P2_13 (No. 198)
One atom of each set of equivalent atoms:
1 Ce 0.123 0.127 0.874 [12 per cell]
2 Ce 0.123 0.377 0.623 [4 per cell]
3 Zr 0.114 0.614 0.886 [4 per cell]
4 Zr 0.125 0.371 0.128 [12 per cell]
5 O 0.000 0.000 0.000 [4 per cell]
6 O 0.000 0.000 0.259 [12 per cell]
7 O 0.000 0.000 0.500 [4 per cell]
8 O 0.001 0.752 0.248 [12 per cell]
9 O 0.002 0.992 0.740 [12 per cell]
10 O 0.020 0.743 0.752 [12 per cell]
11 O 0.231 0.231 0.231 [4 per cell]
12 O 0.244 0.256 0.744 [4 per cell]

Properties
Total energy after the MP2020 corrections   -9.520 eV per atom
Crystal system   cubic

=====

Entry 2:
DFT (GGA-PBE) results for Ce2ZrO6 after structural relaxation.

a b c (Å): 3.785 3.785 16.111
angles (deg): 90.00 90.00 90.00
Space group I4/mmm (No. 139)
One atom of each set of equivalent atoms:
1 Ce 0.000 0.000 0.164 [4 per cell]
2 Zr 0.000 0.000 0.500 [2 per cell]
3 O 0.000 0.500 0.078 [8 per cell]
4 O 0.000 0.500 0.250 [4 per cell]

Properties
Total energy after the MP2020 corrections   -9.403 eV per atom
Crystal system   tetragonal
Relative energy among the computed polymorphs   11 meV per atom

=====

Entry 3:
DFT (GGA-PBE) results for Ce2Zr2O7 after structural relaxation.

a b c (Å): 10.797 10.797 10.797
angles (deg): 90.00 90.00 90.00
Space group Fd-3m (No. 227, origin choice 2)
One atom of each set of equivalent atoms:
1 Ce 0.000 0.000 0.000 [16 per cell]
2 Zr 0.000 0.000 0.500 [16 per cell]
3 O 0.086 0.375 0.875 [48 per cell]
4 O 0.125 0.125 0.125 [8 per cell]

Properties
Total energy after the MP2020 corrections   -9.596 eV per atom
Crystal system   cubic

=====

Entry 4:
DFT (GGA-PBE) results for Ce3ZrO8 after structural relaxation.

a b c (Å): 3.805 3.805 10.852
angles (deg): 90.00 90.00 90.00
Space group P-4m2 (No. 115)
One atom of each set of equivalent atoms:
1 Ce 0.000 0.000 0.000 [1 per cell]
2 Ce 0.500 0.500 0.255 [2 per cell]
3 Zr 0.000 0.000 0.500 [1 per cell]
4 O 0.000 0.500 0.120 [2 per cell]
5 O 0.000 0.500 0.372 [2 per cell]
6 O 0.000 0.500 0.605 [2 per cell]
7 O 0.000 0.500 0.865 [2 per cell]

Properties
Total energy after the MP2020 corrections   -9.350 eV per atom
Crystal system   tetragonal
Relative energy among the computed polymorphs   12 meV per atom

=====

Repeat the first record exactly.
DFT (GGA-PBE) results for CeZrO4 after structural relaxation.

a b c (Å): 10.638 10.638 10.638
angles (deg): 90.00 90.00 90.00
Space group P2_13 (No. 198)
One atom of each set of equivalent atoms:
1 Ce 0.123 0.127 0.874 [12 per cell]
2 Ce 0.123 0.377 0.623 [4 per cell]
3 Zr 0.114 0.614 0.886 [4 per cell]
4 Zr 0.125 0.371 0.128 [12 per cell]
5 O 0.000 0.000 0.000 [4 per cell]
6 O 0.000 0.000 0.259 [12 per cell]
7 O 0.000 0.000 0.500 [4 per cell]
8 O 0.001 0.752 0.248 [12 per cell]
9 O 0.002 0.992 0.740 [12 per cell]
10 O 0.020 0.743 0.752 [12 per cell]
11 O 0.231 0.231 0.231 [4 per cell]
12 O 0.244 0.256 0.744 [4 per cell]

Properties
Total energy after the MP2020 corrections   -9.520 eV per atom
Crystal system   cubic

=====

Question: Among the records above, which one has the highest total energy after the MP2020 corrections?
Answer: Ce3ZrO8

=====

What did the fourth record say?
DFT (GGA-PBE) results for Ce3ZrO8 after structural relaxation.

a b c (Å): 3.805 3.805 10.852
angles (deg): 90.00 90.00 90.00
Space group P-4m2 (No. 115)
One atom of each set of equivalent atoms:
1 Ce 0.000 0.000 0.000 [1 per cell]
2 Ce 0.500 0.500 0.255 [2 per cell]
3 Zr 0.000 0.000 0.500 [1 per cell]
4 O 0.000 0.500 0.120 [2 per cell]
5 O 0.000 0.500 0.372 [2 per cell]
6 O 0.000 0.500 0.605 [2 per cell]
7 O 0.000 0.500 0.865 [2 per cell]

Properties
Total energy after the MP2020 corrections   -9.350 eV per atom
Crystal system   tetragonal
Relative energy among the computed polymorphs   12 meV per atom

=====

Question: Number 4 is which compound?
Answer: Ce3ZrO8

Done:
Entry 1:
DFT (GGA-PBE) results for CeZrO4 after structural relaxation.

a b c (Å): 10.638 10.638 10.638
angles (deg): 90.00 90.00 90.00
Space group P2_13 (No. 198)
One atom of each set of equivalent atoms:
1 Ce 0.123 0.127 0.874 [12 per cell]
2 Ce 0.123 0.377 0.623 [4 per cell]
3 Zr 0.114 0.614 0.886 [4 per cell]
4 Zr 0.125 0.371 0.128 [12 per cell]
5 O 0.000 0.000 0.000 [4 per cell]
6 O 0.000 0.000 0.259 [12 per cell]
7 O 0.000 0.000 0.500 [4 per cell]
8 O 0.001 0.752 0.248 [12 per cell]
9 O 0.002 0.992 0.740 [12 per cell]
10 O 0.020 0.743 0.752 [12 per cell]
11 O 0.231 0.231 0.231 [4 per cell]
12 O 0.244 0.256 0.744 [4 per cell]

Properties
Total energy after the MP2020 corrections   -9.520 eV per atom
Crystal system   cubic

=====

Entry 2:
DFT (GGA-PBE) results for Ce2ZrO6 after structural relaxation.

a b c (Å): 3.785 3.785 16.111
angles (deg): 90.00 90.00 90.00
Space group I4/mmm (No. 139)
One atom of each set of equivalent atoms:
1 Ce 0.000 0.000 0.164 [4 per cell]
2 Zr 0.000 0.000 0.500 [2 per cell]
3 O 0.000 0.500 0.078 [8 per cell]
4 O 0.000 0.500 0.250 [4 per cell]

Properties
Total energy after the MP2020 corrections   -9.403 eV per atom
Crystal system   tetragonal
Relative energy among the computed polymorphs   11 meV per atom

=====

Entry 3:
DFT (GGA-PBE) results for Ce2Zr2O7 after structural relaxation.

a b c (Å): 10.797 10.797 10.797
angles (deg): 90.00 90.00 90.00
Space group Fd-3m (No. 227, origin choice 2)
One atom of each set of equivalent atoms:
1 Ce 0.000 0.000 0.000 [16 per cell]